An essay I wrote today about a book, Guarding the Golden Door by Roger Daniels, we are reading for a history class at OSU called Immigration to America from 1880. I wasn’t going to post it here, but I mention a little bit about Douglas County in it. If you would like to know more about where the Chinese worked in Douglas County I can tell you about the landmarks that are out on Cow Creek out past Riddle and before you get to Glendale. China Ditch is mentioned and that’s out North Myrtle Creek. I know a tiny bit about China Sam who lived in Roseburg. And I love to research this stuff!! Hope you enjoy!
There is an image at the link below. Off white people are holding a sign saying that, “Immigrants make America Great”. Truth is without Immigrants there would be no America at all. They are what made and continue to make America great! And yet, they are perceived to this day as secondary citizens, not much more in the hierarchy than legalized slavery. We owe immigrants a debt of thanks, for they take the ‘dirty jobs’ that most of us snub our noses at. Thank an immigrant for being willing to work in unsafe, unsanitary environments getting a sub standard wage doing the things we would not lower ourselves to do. Thank them and be grateful.
http://in-the-age-of-automation-this-is-how-immigrants-help-american-workers-2017-10-17.html |
In chapter 1 of Roger Daniels book, “Guarding the Golden Door” gives us an introduction to a subject that he feels is vastly under studied [pg. 6], Immigration Policy in America. He makes is quite clear from the very first sentences of the chapter that American Immigration policy is often “…. conceived in ignorance, …falsely presented to the public, and had consequences never undreamt about by its creators.” The author goes on to introduce the idea of nativism and how the policies themselves along with attitudes of Americans have been non-consistent, except perhaps in terms of racism, along with other unkind treatment given to immigrants who do not live up to an American’s view of what “white” in America is. [pg. 7] He starts his book and his argument with the 1882 Chinese Exclusion Act by saying that pointing out that this Act be, “…a nodal point in the history of American Immigration Policy.” By using the term “nodal point” the author points out that this 1882 policy was a focus point, a very good example of Immigration policy along with political, social, and cultural drama of an American bipolar response to immigration and immigrants. Or as he puts it on page 6 where he introduces the idea of one theme in the book, the “dualistic attitude that most Americans have developed towards immigration and immigrants, on the one hand reveling in the nation’s immigrant past and on the other rejecting much of its immigrant present.”
This theme he writes about the dualistic nature of American attitude is voiced in modern America. Growing up in California one of the most diverse populations in the country in terms of immigrants I often heard Mexican Americans talked about in despicable terms growing up. “They need to go back where they came from.” As if they were not here before the rest of us. And if the source produce at the grocery store dried up and the products were no longer available, most of the family members who voiced such a horrible attitude would have been begging for those underpaid agricultural workers to come back. The pay for picking produce is below what most American’s consider necessary to keep up their standard of living.
Yet, those same family members – were proud to be Scotch, Irish, Welsh, English, Dutch, German, and Danish. Not of a one of those named ethnicities originate in North America. Perhaps it was we, who should have gone back to where we belonged. Daniels has this “attitude” of the American people completely right. Go to another place in the country, as I have, and you will hear of another group of people who is being abused in the very exact same way. In the Midwest, at least with some, the disrespect was for the black population. Yet, if we are white, and have long roots on this continent our very own ancestors probably had something to do with bringing some of their ancestors here. It is not like they came over on a cruise ship looking for Fantasy Island. So, I can verify with my own examples of that “dualistic attitude.” Therefore, I feel he is completely right. American have in general wanted the cake and to eat it too!
IF those two examples are not enough, listen to Rush Limbaugh or Glenn Beck on their radio programs.
**Here the entry breaks off for data records**
'''
DFT (wB97M-V/def2-TZVPD) results for one molecule with the formula C25H31NO2.

```
59
Properties=species:S:1:pos:R:3:forces:R:3:lowdin_charge:R:1
O 1.11024 -1.51491 2.14232 -0.2475 0.2346 0.1422 -0.02
O 2.66834 -2.69007 1.06021 0.1156 -0.0881 0.0396 0.13
N -1.90071 -0.92549 -1.09517 -0.0437 -0.1197 -0.1114 -0.13
C 1.68628 -2.02545 -1.45684 0.1554 0.0166 0.2732 -0.12
C 0.84536 -1.70395 -0.20984 0.0365 -0.1159 0.1227 -0.33
C 2.75021 0.19602 -2.16521 0.1652 0.0630 -0.0499 -0.25
C -2.69458 -0.41093 1.29639 -0.0628 -0.1136 0.0079 -0.06
C -0.36538 -2.66489 -0.14238 -0.1775 0.0603 -0.1427 -0.09
C -0.78655 -0.00587 -1.18036 0.2256 0.1193 -0.0449 -0.13
C 2.36068 2.77780 -3.15429 -0.0216 0.1252 -0.0258 -0.10
C 1.77216 -1.78689 3.37786 0.3001 -0.1303 0.3616 -0.21
C 3.00712 2.58569 -1.94577 0.0223 0.0893 0.0396 -0.08
C -1.88360 3.18026 2.32268 0.0814 0.0239 0.1547 -0.09
C 2.12172 0.40251 -3.38802 0.0396 -0.0134 0.0460 -0.06
C -3.06183 3.09143 0.22316 -0.0007 0.0352 0.0358 -0.03
C 0.33128 -0.25706 -0.16213 -0.1977 0.0683 -0.0775 -0.07
C -2.45174 3.82083 1.23499 -0.0326 0.1427 -0.0803 -0.09
C 1.92329 1.68100 -3.87678 -0.0518 0.0242 -0.0952 -0.08
C -3.09228 1.71542 0.32153 0.0138 -0.0392 0.1851 -0.20
C -1.45133 -2.29457 -1.16315 0.0955 -0.1640 0.0994 -0.16
C 3.20086 1.30524 -1.45856 0.0514 -0.0398 -0.0672 -0.06
C 1.10268 -0.96688 4.46474 0.0554 -0.1685 -0.4317 -0.06
C -1.91784 1.79604 2.42457 0.0030 0.0639 0.0166 -0.03
C 2.96552 -1.19490 -1.63775 -0.1394 -0.1265 -0.0504 -0.12
C -3.00428 -0.62331 -0.21232 -0.1935 -0.0856 -0.0902 -0.27
C 1.66741 -2.02053 1.03644 0.0171 -0.0543 -0.2883 -0.45
C -3.66557 0.71045 -0.63158 -0.0583 -0.0612 0.0511 -0.07
C -2.52725 1.07162 1.42114 -0.0449 0.0837 -0.1271 -0.19
H 2.83189 -1.52891 3.27522 -0.1559 -0.0875 0.0220 0.13
H 1.79218 -0.44698 -3.96978 -0.0591 -0.1031 -0.0522 0.11
H -0.37311 -0.08926 -2.19253 0.0105 0.0985 0.0153 0.12
H -3.70997 -1.45131 -0.33502 0.0554 0.0829 0.0305 0.14
H -3.46375 0.94210 -1.67657 -0.0294 -0.0436 -0.0489 0.12
H -3.55743 -0.73276 1.88770 -0.0030 -0.0486 0.0368 0.13
H 3.59844 -1.73032 -2.35220 0.0526 -0.0003 0.0931 0.13
H 1.17124 0.09184 4.22821 0.0004 0.1206 0.0329 0.08
H -1.47240 1.29715 3.27364 0.0592 -0.0514 0.0872 0.11
H -1.40771 3.76245 3.09839 0.0391 0.0569 0.0550 0.10
H 1.98653 -3.07271 -1.37687 -0.0916 0.0059 -0.0776 0.12
H 1.14694 0.43489 -0.36463 -0.0557 0.0339 0.1187 0.11
H 3.70759 1.16235 -0.51366 0.0274 -0.0355 0.0932 0.11
H -2.30917 -2.95787 -1.02774 0.0211 0.0004 -0.0742 0.12
H 1.06246 -1.92173 -2.34334 -0.0400 -0.0628 -0.0612 0.10
H 1.70380 -2.86070 3.58676 0.0628 0.1407 -0.0467 0.13
H -2.41605 4.89852 1.16982 0.0150 0.0888 0.0010 0.10
H -0.03102 -3.68811 -0.32723 0.0436 -0.0506 0.0367 0.13
H -3.49782 3.59360 -0.62847 -0.0348 0.0642 -0.0870 0.11
H 3.36129 3.43526 -1.37998 0.0220 0.0679 0.0436 0.10
H -4.74881 0.64933 -0.50032 -0.0466 -0.0034 -0.0383 0.12
H 1.42920 1.82232 -4.82727 -0.0361 0.0105 -0.0750 0.10
H 1.59221 -1.15123 5.41649 0.0353 -0.0073 0.1094 0.08
'''
Mr. Daniels points out Founding Fathers, Thomas Jefferson and George Washington knew that immigration was key to growing our nation. [pg. 6, & 7] It was considered necessary. George Washington even voiced our countries eagerness to have immigrants come to America to live. Yet, John Adams another Founding Father, led an administration that put into place the Alien Sedition Acts in the 1790s. Mr. Daniels points out that this was anti-immigration policy that aimed to keep people out of the country who might vote Jeffersonian rather than for the Federalists. Not only were American’s attitude dualistic but from the beginning of our country we celebrated and invited in the immigrants with one face and cursed them and worked to keep them out with the other.
The author then seqways back to the Chinese Exclusion Act. The author points out that until the Chinese Exclusion law immigration law was “minimal” and that to be naturalized a person need only be a “free white person”, while qualifying that further, the truth was that a person needed to be white. It was the fact that these prior laws were minimal that made the Chinese Exclusion law such a focal point. At this juncture in history America had become blatantly racist in terms of Asians and who they were. Asians were a people that needed to be controlled. We would gladly take advantage of their very cheap labor but as a country we were also very happy to tell them to, “go back to where they belong.”
Here in Oregon, and specifically in Douglas County where I live, I could take you to several spots where the Chinese were instrumental in laying down railroad track through this mountainous landscape. The work was dangerous, and it was hard. Their labor was also used on other projects around here, one of the bigger projects is today called, “China Ditch”. It is way out of the way, in the “boonies” one might say. But, the scar on the mountain side still shows the mark of the labor that these men put in to get water from one side of the mountain to the other so that men of means could take gold from the Umpqua Basin and lift up their standard of living. The West probably might not have been “won” had it not been for hard working Chinese and the white men who were so willing to exploit them.
Chapter 1 is an introduction to several ideas: Nativism, America’s consistent two faced attitude towards immigrants that includes the racism along with the ability to take advantage of another people and the inconsistent way in which America immigration policies have been set forth over the years.
Side note: In fifth grade It think it was, I had to do a report. I don’t remember just what the report could be about. I only remember that I settled on researching and reporting on the Chinese and their labors on the California railroads. It amazes me how much I am using knowledge gleaned all those years ago today. I remember from way back then that the treatment of Asians in America was unforgivable. Today American’s enjoy a life that was built upon the backs of others that our ancestors really wanted nothing to do with, and thought were below “their dignity.” With their assumptions of just who these “others” were, American’s used their notions to justify looking down on others and abusing them in anyway they saw fit. I’ve said it before and I’ll say it again (and again, and again)— American’s have a pitifully poor history when it comes to the treatment of anyone deemed not white, and that was the majority of the rest of the world, including a lot of “white” people who were early on defined as other than white. It mattered not — if you were white or black if you were Jewish, Catholic, German, or Asian. All were deemed to be 2nd class citizens, all were seen as nothing more than labor. Most were forced into a life of misery barely above the life of slavery. We American’s have very little from our past to be truly proud of. We are a very arrogant people.
IF you think me wrong, look at what the attitudes of our forbearers and how they affect today’s history in the making. Trump’s nativists attitudes could not be more blatant. Nor can his racism. He is a man who soaked up his parents attitudes like a sponge, and lives the attitude to this day. Present example with him that comes to mind is him hiring illegal immigrants for low wages at his high prices exclusive clubs, and then turning around and politicalizing the fact that they are here at all, and accusing them all of being criminals, or secondary citizens. He has made it clear that if you don’t have something to offer America then you are not welcome here. I’d love to point out to him that when those people come here to labor in our strawberry and artichoke fields, when they pick our grapes, and our walnuts, as they pack our melons in the fields — they are giving us something. They are giving us their blood, and sweat, their labor and their youth, their living and often their very lives.